What to do >
It remains to copy only the last part of the data below, starting with the line that has "entry two".

Excerpt >
=====
Entry one
{"formula": "C17H25NO3", "method": "wB97M-V/def2-TZVPD", "species": ["C", "H", "O", "C", "C", "C", "C", "C", "C", "H", "H", "C", "C", "C", "O", "N", "C", "H", "C", "O", "C", "H", "C", "H", "H", "H", "H", "H", "H", "H", "H", "H", "C", "C", "H", "H", "H", "C", "H", "H", "H", "H", "H", "H", "H", "H"], "xyz": [[5.53, 1.36, 0.23], [5.58, 1.46, -0.94], [4.37, 1.59, 0.71], [3.28, 0.59, 0.35], [2.01, 0.66, 0.81], [0.86, -0.08, 0.71], [0.97, -1.18, -0.06], [2.29, -1.23, -0.92], [3.33, -0.41, -0.61], [4.37, -0.67, -1.00], [2.39, -1.87, -1.48], [-0.20, -1.85, -0.71], [-0.92, -1.41, -1.80], [-1.02, 0.37, -1.49], [-0.20, 0.99, -2.13], [-2.17, 0.78, -0.73], [-3.21, -0.02, -0.24], [-4.17, 0.37, -0.79], [-3.34, 0.71, 1.10], [-3.59, 2.04, 1.37], [-2.46, 2.63, 0.64], [-1.64, 2.45, 1.47], [-2.20, 2.37, -0.68], [-3.11, 2.65, -1.16], [-1.28, 2.86, -1.36], [-2.50, 3.73, 0.82], [-2.58, 0.07, 1.77], [-4.33, 0.34, 1.54], [-3.22, -0.97, -0.21], [-0.38, -1.40, -2.57], [-1.91, -1.58, -1.84], [0.28, -2.87, -1.20], [-0.86, -2.39, 0.64], [0.04, -3.11, 1.66], [0.61, -3.87, 1.27], [-0.46, -3.16, 2.57], [0.78, -2.22, 1.86], [-1.89, -3.51, 0.51], [-1.38, -4.34, -0.15], [-2.74, -3.07, -0.40], [-2.36, -3.93, 1.29], [-1.58, -1.52, 1.30], [-0.13, 0.16, 1.15], [1.82, 1.52, 1.67], [5.98, 2.22, 0.49], [6.10, 0.33, 0.38]], "smiles": "COc1ccc([C@H](CC(=O)N2CCOCC2)C(C)C)cc1", "e_lumo_ev": 0.76}

Entry two
{"formula": "C17H25NO3", "method": "wB97M-V/def2-TZVPD", "species": ["C", "H", "O", "C", "C", "C", "C", "C", "C", "H", "H", "C", "C", "O", "O", "C", "C", "H", "H", "H", "H", "C", "N", "C", "C", "C", "C", "C", "H", "H", "H", "H", "H", "H", "H", "H", "H", "H", "H", "H", "H", "H", "H", "H", "H", "H"], "xyz": [[2.91, -1.07, 6.38], [2.25, -0.59, 7.10], [2.20, -1.64, 5.32], [1.44, -0.84, 4.53], [1.31, 0.54, 4.68], [0.51, 1.26, 3.81], [-0.18, 0.63, 2.79], [-0.04, -0.74, 2.63], [0.76, -1.47, 3.49], [0.87, -2.54, 3.38], [-0.56, -1.24, 1.83], [-1.01, 1.43, 1.81], [-0.09, 1.76, 0.65], [0.54, 2.77, 0.55], [-0.06, 0.75, -0.21], [0.86, 0.84, -1.31], [2.25, 0.44, -0.83], [2.25, -0.59, -0.48], [2.97, 0.54, -1.64], [2.56, 1.09, -0.02], [0.87, 1.88, -1.67], [0.35, -0.08, -2.43], [-0.61, 0.59, -3.28], [-1.95, 0.69, -2.72], [-2.74, -0.62, -2.78], [-2.79, -1.13, -4.22], [-1.38, -1.25, -4.78], [-0.66, 0.10, -4.64], [0.35, 0.04, -5.03], [-1.20, 0.85, -5.23], [-0.83, -2.01, -4.23], [-1.41, -1.54, -5.83], [-3.30, -2.10, -4.26], [-3.36, -0.43, -4.83], [-2.26, -1.37, -2.15], [-3.75, -0.46, -2.40], [-1.87, 1.03, -1.69], [-2.48, 1.46, -3.30], [1.21, -0.36, -3.05], [-0.04, -1.00, -1.96], [-1.86, 0.84, 1.46], [-1.36, 2.36, 2.27], [0.42, 2.33, 3.94], [1.83, 1.06, 5.47], [3.65, -0.33, 6.02], [3.44, -1.89, 6.87]], "smiles": "COc1ccc(CC(=O)O[C@@H](C)CN2CCCCC2)cc1", "e_lumo_ev": 0.83}

entry two has the most favorable energy; the next structure is 1420.6 kJ/mol above.

Entry one
{"formula": "C2H12N4", "method": "wB97M-V/def2-TZVPD", "species": ["N", "C", "N", "H", "H", "H", "H", "H", "H", "N", "C", "N", "H", "H", "H", "H", "H", "H"], "xyz": [[-1.64, -2.21, -0.59], [-0.85, -2.36, 0.62], [-0.97, -1.38, 1.70], [-2.41, -1.56, -0.67], [-1.86, -3.07, -1.08], [-0.98, -3.41, 0.97], [0.19, -2.14, 0.45], [-1.93, -1.11, 1.88], [-0.44, -0.59, 1.36], [1.47, 2.63, -1.42], [1.62, 1.97, -0.18], [0.37, 1.29, 0.35], [1.06, 2.11, -2.19], [2.40, 2.80, -1.79], [2.43, 1.23, -0.23], [1.95, 2.63, 0.65], [-0.17, 1.11, -0.50], [-0.23, 2.07, 0.66]], "smiles": "NCN.NCN", "e_lumo_ev": 0.97}

Entry two
=====

Completed >
entry two has the most favorable energy; the next structure is 1420.6 kJ/mol above.

Entry one
{"formula": "C2H12N4", "method": "wB97M-V/def2-TZVPD", "species": ["N", "C", "N", "H", "H", "H", "H", "H", "H", "N", "C", "N", "H", "H", "H", "H", "H", "H"], "xyz": [[-1.64, -2.21, -0.59], [-0.85, -2.36, 0.62], [-0.97, -1.38, 1.70], [-2.41, -1.56, -0.67], [-1.86, -3.07, -1.08], [-0.98, -3.41, 0.97], [0.19, -2.14, 0.45], [-1.93, -1.11, 1.88], [-0.44, -0.59, 1.36], [1.47, 2.63, -1.42], [1.62, 1.97, -0.18], [0.37, 1.29, 0.35], [1.06, 2.11, -2.19], [2.40, 2.80, -1.79], [2.43, 1.23, -0.23], [1.95, 2.63, 0.65], [-0.17, 1.11, -0.50], [-0.23, 2.07, 0.66]], "smiles": "NCN.NCN", "e_lumo_ev": 0.97}

Entry two